Energy and Climate

Partnering for energy security, sustainability and equity

South Africa’s energy challenges require a systems approach that considers issues of inclusivity, safety, economy, and environment, among others. Collaboration across and between spheres of government, civil society and the private sector is crucial for a diversified and decentralised electricity generation system. The EDP brings adaptive partnering solutions for a rapidly changing regulatory environment that strengthen the renewable energy ecosystem and support the ‘just energy transition’.

Athlone Power Station: Stakeholder engagement for energy security

The coal-fired Athlone Power Station in Cape Town closed in 2003, but the site’s infrastructure holds significant redevelopment potential for green energy, industry and training. The EDP supports the City of Cape Town with stakeholder engagement to help develop a shared vision for the site’s future and inform the early design process. The partnering process is building strong relationships across sectors for efficient information sharing and collaboration in the years ahead.

Engaging civil society in Cape Town’s Climate Change Strategy

Implementing the City of Cape Town’s Climate Change Strategy will require collaboration between residents, business, organisations, academia, international partners, and across government spheres and. Civil society groups have a key role to play here. The EDP supports the City of Cape Town to engage productively with civil society in the climate and environment space around climate issues and towards implementing the City’s Climate Change Action plan.

Partnering to address energy poverty in Cape Town

Although Cape Town is largely electrified, many informal households do not receive electricity from the grid. The City of Cape Town is collaborating with businesses and residents to alleviate energy poverty. The EDP is working with the Centre for Sustainable Transitions (CST) to conduct stakeholder mapping and explore partnering opportunities to alleviate energy poverty in and around Cape Town, aligning with the broader vision of a ‘just energy transition’.


Water Resilience

Building water resilience to strengthen water security

## The piece is interrupted by materials data
=====
Entry 1:
24
Lattice="-0.191 1.792 4.067 6.925 -7.879 3.798 9.680 7.199 -2.717" Properties=species:S:1:pos:R:3 comment="Nd3Zn2Os PBE-GGA optimized geometry" sg="Pnma, No. 62" total_magnetization_mub_per_atom=0.000 delta_e_f_ev_per_atom=-0.21 dft_energy_ev_per_atom=-4.891 pbc="T T T"
Nd 3.889 1.567 3.142
Nd 3.132 -2.199 2.333
Nd 12.525 -0.454 2.006
Nd 6.106 3.523 -0.049
Nd 9.240 4.584 2.064
Nd 9.624 1.383 3.493
Nd 10.307 -2.410 5.197
Nd 6.789 -0.271 1.655
Nd 7.491 -5.296 6.336
Nd 7.174 -3.472 3.084
Nd 8.923 6.408 -1.188
Nd 13.282 3.312 2.815
Os 8.453 2.037 0.716
Os 7.961 -0.925 4.432
Os 14.369 0.890 3.934
Os 2.044 0.223 1.215
Zn 15.052 1.247 1.375
Zn 2.882 2.513 0.245
Zn 13.531 -1.401 4.904
Zn 5.350 -1.199 4.429
Zn 6.902 2.667 2.799
Zn 9.511 -1.555 2.349
Zn 1.361 -0.134 3.773
Zn 11.064 2.311 0.719



Entry 2:
6
Lattice="-2.090 0.100 2.079 -2.079 0.019 -2.091 -0.182 -6.373 0.123" Properties=species:S:1:pos:R:3 comment="ZnNiH PBE-GGA optimized geometry" sg="P4/nmm, No. 129" total_magnetization_mub_per_atom=0.000 dft_energy_ev_per_atom=-3.568 pbc="T T T"
Zn -0.158 -5.529 0.107
Zn -2.109 -0.785 0.010
Ni -0.066 -2.298 0.044
Ni -2.201 -4.016 0.073
H -1.136 -3.137 1.101
H -1.131 -3.177 -0.984



Entry 3:
16
Lattice="4.205 0.000 0.000 0.000 4.205 0.000 0.000 0.000 16.268" Properties=species:S:1:pos:R:3 comment="La3GaPd12 PBE-GGA optimized geometry" sg="P4/mmm, No. 123" total_magnetization_mub_per_atom=0.000 delta_e_f_ev_per_atom=-0.70 dft_energy_ev_per_atom=-5.713 pbc="T T T"
Pd 2.103 2.103 3.877
Pd 0.000 2.103 10.255
Pd 2.103 0.000 10.255
Pd 2.103 2.103 0.000
Pd 2.103 2.103 12.391
Pd 2.103 0.000 6.013
Pd 2.103 0.000 1.743
Pd 0.000 2.103 1.743
Pd 2.103 0.000 14.525
Pd 0.000 2.103 14.525
Pd 0.000 2.103 6.013
Pd 2.103 2.103 8.134
La 0.000 0.000 8.134
La 0.000 0.000 3.878
La 0.000 0.000 12.391
Ga 0.000 0.000 0.000



Entry 4:
5
Lattice="-2.124 -3.662 -1.723 0.266 -2.068 4.068 -3.253 1.442 0.945" Properties=species:S:1:pos:R:3 comment="Hf2AlHW PBE-GGA optimized geometry" sg="P4/mmm, No. 123" total_magnetization_mub_per_atom=0.000 dft_energy_ev_per_atom=-8.199 pbc="T T T"
Hf -1.062 -1.831 -0.862
Hf 0.133 -1.034 2.034
H 0.000 0.000 0.000
W -1.627 0.721 0.473
Al -2.556 -2.144 1.645



Entry 5:
13
Lattice="-6.196 -0.970 2.485 -2.516 -2.126 -7.103 4.896 -4.798 4.017" Properties=species:S:1:pos:R:3 comment="Ho2Np3S8 PBE-GGA optimized geometry" sg="C2/m, No. 12" raw_formation_energy_ev_per_atom=-1.509 total_magnetization_mub_per_atom=0.251 dft_energy_ev_per_atom=-7.740 pbc="T T T"
S -3.536 -3.513 -4.297
S -2.203 -2.387 -0.535
S -5.981 -3.234 -1.229
S -0.281 -4.382 3.696
S 2.165 -4.660 0.628
S -1.613 -5.508 -0.066
S -4.912 -2.268 2.418
S 1.096 -5.626 -3.019
Ho -0.189 -3.415 1.089
Ho -3.627 -4.479 -1.690
Np -1.864 -1.575 -5.262
Np -3.098 -0.485 1.242
Np -0.652 -0.551 -1.841



Entry 6:
19
=====
## Here the piece continues

Resilient water systems are crucial for sustainable livelihoods and economic growth. Climate change, environmental factors and population growth are all placing demands on South Africa’s scarce water resources, while institutional challenges prevent effective coordination and undermine infrastructure maintenance. The EDP strengthens relationships among water users and custodians to improve water governance for improved water resilience.

Adaptive governance for the Western Cape Water Supply System

The Western Cape Water Supply System provides water to four million people in Cape Town, Stellenbosch and towns within the Drakenstein, Swartland and Saldanha Bay areas, as well as the agricultural sector. A multi-year hydro-economic study, convened by the EDP and released in 2023, underscored the importance of building relationships for improved decision making, planning and delivery. To this end, the EDP supports the City of Cape Town to convene strategic engagements with water users and water authorities for joint action towards creating a resilient water system for the province.

Connecting Water, Energy and Food to increase resilience

Demand for water, energy, and food (WEF) is increasing globally, driven by demographic and economic growth, changing user practices, and rapid urbanisation. Current models of resource-intensive urbanisation are unsustainable, increasing the risk of interrelated water, energy and food crises faced by cities.

The WEF-Nexus project is a four-year study run by an international, multidisciplinary team of researchers and practitioners to build synergies between Cape Town’s WEF sectors, while ensuring environmental preservation. As one of the project partners, the EDP promotes collaboration and learning exchange between researchers, practitioners and policy-makers working in the WEF sector.



Collaboration for inclusive infrastructure planning and delivery

- - -
! HgMo2Pt GGA-PBE optimized geometry; values from VASP
! DFT formation energy ... 742.2 meV per atom
&SYSTEM
  ibrav = 0, nat = 8, ntyp = 3
/
ATOMIC_SPECIES
Mo 95.94 Mo.upf
Hg 200.59 Hg.upf
Pt 195.08 Pt.upf
CELL_PARAMETERS angstrom
7.440 0.000 0.000
0.000 7.440 0.000
3.720 3.720 2.674
ATOMIC_POSITIONS crystal
Mo 0.600 0.125 0.250
Mo 0.150 0.625 0.250
Mo 0.375 0.400 0.750
Mo 0.875 0.850 0.750
Hg 0.000 0.000 0.000
Hg 0.750 0.250 0.500
Pt 0.500 0.500 0.000
Pt 0.250 0.750 0.500

---

! PrY2Tm3Se6 GGA-PBE optimized geometry; values from VASP
! Formation energy (no corrections) ... -1.727 eV per atom
&SYSTEM
  ibrav = 0, nat = 12, ntyp = 4
/
ATOMIC_SPECIES
Pr 140.91 Pr.upf
Y 88.91 Y.upf
Tm 168.93 Tm.upf
Se 78.96 Se.upf
CELL_PARAMETERS angstrom
-1.596 2.913 2.317
-5.251 1.940 -6.059
-3.522 -7.636 3.634
ATOMIC_POSITIONS crystal
Pr 0.500 0.000 0.000
Y 0.836 0.671 0.672
Y 0.164 0.329 0.328
Tm 0.500 0.500 0.000
Tm 0.837 0.167 0.674
Tm 0.163 0.833 0.326
Se 0.327 0.919 0.653
Se 0.666 0.587 0.333
Se 0.673 0.081 0.347
Se 0.999 0.265 0.998
Se 0.001 0.735 0.002
Se 0.334 0.413 0.667

---

! Na4Tl3AgO8 GGA-PBE optimized geometry; values from VASP
! Formation energy (no corrections) ... -0.951 eV per atom
&SYSTEM
  ibrav = 0, nat = 16, ntyp = 4
/
ATOMIC_SPECIES
Na 22.99 Na.upf
Tl 204.38 Tl.upf
Ag 107.87 Ag.upf
O 16.00 O.upf
CELL_PARAMETERS angstrom
6.607 0.000 0.000
0.000 6.676 -0.026
-3.304 -3.350 5.101
ATOMIC_POSITIONS crystal
Na 0.500 0.000 0.000
Na 0.500 0.000 0.500
Na 0.000 0.000 0.000
Na 0.000 0.000 0.500
Tl 0.500 0.500 0.000
Tl 0.500 0.500 0.500
Tl 0.000 0.500 0.500
Ag 0.000 0.500 0.000
O 0.218 0.710 0.985
O 0.276 0.748 0.552
O 0.266 0.274 0.532
O 0.767 0.710 0.985
O 0.233 0.290 0.015
O 0.734 0.726 0.468
O 0.724 0.252 0.448
O 0.782 0.290 0.015

---

Number 1: energy -6.259 eV per atom. Number 2: energy -6.063 eV per atom. Number 3: energy -4.381 eV per atom.

~~~~~

[1]
Density functional theory data (GGA-PBE) for a relaxed structure of ZnRu2Pt2.

Structure (POSCAR):
```
ZnRu2Pt2
1.0
-1.752 6.539 -3.500
-6.068 -3.332 -3.188
-1.546 0.744 2.165
Pt Zn Ru
4 2 4
direct
0.876 0.624 0.000
0.624 0.124 0.000
0.124 0.376 0.000
0.376 0.876 0.000
0.000 0.000 0.000
0.500 0.500 0.000
0.174 0.674 0.500
0.826 0.326 0.500
0.674 0.826 0.500
0.326 0.174 0.500
```

Results
For the total energy, the calculation gives -60.85 eV for the cell shown. As for the formation energy: 0.296 eV/atom.

[2]
Density functional theory data (GGA-PBE) for a relaxed structure of Ac3Ga2Sn2.

Structure (POSCAR):
```
Ac3Ga2Sn2
1.0
-4.523 0.987 -0.405
1.089 -6.347 -0.973
-0.253 2.287 8.397
Ac Ga Sn
3 2 2
direct
0.677 0.355 0.640
0.323 0.645 0.360
0.500 0.000 0.000
0.201 0.403 0.932
0.799 0.597 0.068
0.968 0.936 0.680
0.032 0.064 0.320
```

Results
For the total energy, the calculation gives -30.96 eV for the cell shown. As for the formation energy: -0.653 eV/atom.

[3]
Density functional theory data (GGA-PBE) for a relaxed structure of BeNi2Sb.

Structure (POSCAR):
```
BeNi2Sb
1.0
2.975 0.000 0.000
- - -

South Africa continues to experience fractured infrastructure management and delivery, compounded by the country’s current energy crisis and infrastructure deficit. The National Development Plan (2013) calls for partnerships and greater experimentation between public and private sectors to maximise infrastructure delivery. The EDP aims to improve infrastructure planning and delivery for public benefit through inclusive partnering platforms and boosting capability to address structural problems across sectors.

ReBuilt: A Changemaker’s Guide

Cities can play a critical role in driving more regenerative, research efficient and just approaches to the built environment. There are opportunities for municipalities and the commercial building sector to adopt more climate-smart building and planning processes while testing their local acceptance.  The EDP is working with the Bauhaus Earth and African Centre for Cities, with funding from the Toni Piech Foundation to develop guidelines for a regenerative built environment, based on multi-stakeholder engagement to empower other cities, particularly in Africa in the transition towards a regenerative built environment.



Employment and Economic Opportunity

Partnering for inclusive economic growth and employment

South Africa’s economic challenges cannot be solved by one sector alone, and creating economic opportunities relies on many factors. The EDP influences key systems that contribute to a thriving economy and job creation. This includes coordinating partnerships across the three spheres of government to drive skills development, social employment, support SMMEs, and enhance capacity in informal economies.

Promoting sustainable development in the Garden Route

The Garden Route Development Partnership (GRDP), facilitated by the EDP brings together local municipalities, government and the private sector in the Garden Route District for the collaborative implementation of the Garden Route Growth and Development Strategy and associated Recovery Plan. The EDP provides backbone support for the GRDP and capacitates partners towards effective collaboration for a resilient, sustainable economy.

Growth Coalitions: Partnering across Cape Town industry for inclusive economic growth

The City of Cape Town’s cross-sectoral Growth Coalitions, launched in 2022, enable partnerships between the City and private sector across different industries. The EDP convenes the Food and Beverage Sector Growth Coalition Platform as the initial pilot, which promotes structured engagements with the food and beverage industry to promote skills development, job creation and sector development.

Social Employment Fund learning and support network

South Africa’s Social Employment Fund, launched in 2021 under the Presidential Employment Stimulus and administered by the Industrial Development Corporation (IDC) creates ‘work for the common good’ by optimising partnerships between larger civil society organisations and informal grassroots networks. With the IDC and DG Murray Trust, the EDP convenes the Social Employment Network, a learning and support network that supports the Fund’s implementing partners by sharing information, documenting learnings and addressing challenges, while sharing learnings back to government to improve the management of the fund and future fund iterations. Learn more about the Social Emplyment Network.

Partnering for integrated waste and wellbeing economies

Like many global cities, Cape Town grapples with high volumes of waste and many of the City’s landfill sites have reached capacity. Building on the findings of the EDP’s partnering support to the City’s Coastal Park landfill site, the EDP is developing a city-wide strategy and programme for the City of Cape Town to integrate SMMEs into the formal waste economy, while enhancing collaboration within the City’s Urban Waste Management Directorate.


Food Security

Building capabilities for food systems resilience

Hunger and malnutrition persist in South Africa, with a fragmented government response and a heavy reliance on civil society to lead food relief efforts. Understanding the lived experiences of communities is key to addressing the systemic nature of food insecurity. The EDP works to improve coordination in the Western Cape’s food sector through partnering processes grounded in local food systems’ realities.

Food learning journeys in the Western Cape

The EDP supports the Western Cape Government’s ‘Nourish To Flourish’ programme by convening food learning journeys across the Western Cape, in collaboration with the Department of Science and Innovation-National Research Foundation Centre of Excellence in Food Security (CoE-FS) and the Southern Africa Food Lab. Learning journeys reveal challenges and opportunities within local food systems, with partners incorporating learnings into tangible programming and delivery through follow up engagements with officials and key stakeholders. Learn more about food learning journeys here.

The Western Cape Food Forum network

Between 2020 to 2023, the EDP convened the Western Cape Food Forum, which brought together multiple stakeholders to address the food crisis during the COVID-19 pandemic. The Western Cape Food Forum network now convenes ad-hoc sessions on key issues, with a monthly newsletter for food system changemakers. The network remains active and ready to coordinate emergency responses when needed. 



Addressing spatial inequality while maximizing development opportunities

South Africa’s Apartheid-era planning created spatial inequality whose legacy persists and continues to intensify the rising social disparity. Spatial imbalances such as unequal access to economic opportunities, decision-making and mobility further deepens social and economic inequality. The EDP brings partnering practices that engage the whole-of-society in promoting spatial integration and transformation in South Africa’s towns and cities, with a focus on area-based projects.

Towns Action Network for small town regeneration 

South African towns and their surrounding regions face many challenges, ranging from persistent droughts to the outmigration of businesses and talent. The Towns Action Network is an action-inspired national learning and support network that connects changemakers and fosters local partnerships across sectors activate the potential and support the regeneration of small and medium size towns in South Africa. The network is funded by Embassy of Finland’s Fund for Local Cooperation, and lead by the EDP and seven Support Partners – Ranyaka, Kagiso TrustRestaurare/ Citeplan, Karoo Development Foundation, Accountability Lab SAPublic Affairs Research Institute (PARI),South African Local Government Association (SALGA). Learn more about the Towns Action Network here.

Partnering for Adam Tas Corridor development, Stellenbosch

The 400-hectare Adam Tas Corridor – also known as the Stellenbosch Corridor –has the potential to integrate much-needed affordable housing, public space, schools and non-motorised transport along a major transport spine. The EDP is convening a partnering process with Stellenbosch Municipality, multiple landowners and other stakeholders to develop a governance framework and partnering arrangements to support the implementation of the corridor.

+++
No. 1
Density functional theory data (PBEsol) for crystalline CoCu3HgSe4 at its relaxed geometry.

Cell: 5.725 5.725 5.725 Å, 90.00 90.00 90.00°
Element x y z (fractional)
Co1 0.000 0.000 0.000
Cu1 0.000 0.000 0.500
Cu2 0.000 0.500 0.000
Cu3 0.500 0.000 0.000
Hg1 0.500 0.500 0.500
Se1 0.228 0.228 0.228
Se2 0.228 0.772 0.772
Se3 0.772 0.228 0.772
Se4 0.772 0.772 0.228

Calculated values
- E_tot (eV for the cell shown) = -37.28
- formation energy from raw total energies (meV per atom) = -64
- total magnetic moment (μB/f.u.) = 0.228


No. 2
Density functional theory data (PBEsol) for crystalline HoCo4Cu at its relaxed geometry.

Cell: 4.815 4.815 3.919 Å, 90.00 90.00 120.00°
Element x y z (fractional)
Ho1 0.000 0.000 0.000
Co1 0.002 0.501 0.500
Co2 0.333 0.667 0.000
Co3 0.499 0.501 0.500
Co4 0.499 0.998 0.500
Cu1 0.667 0.333 0.000

Calculated values
- E_tot (eV for the cell shown) = -40.89
- energy relative to the elements (eV/atom) = -0.109
- total magnetic moment (μB/f.u.) = 5.008


No. 3
Density functional theory data (PBEsol) for crystalline CoCu3I at its relaxed geometry.

Cell: 4.777 4.777 4.777 Å, 90.00 90.00 90.00°
Element x y z (fractional)
Co1 0.000 0.000 0.000
Cu1 0.000 0.500 0.500
Cu2 0.500 0.000 0.500
Cu3 0.500 0.500 0.000
I1 0.500 0.500 0.500

Calculated values
- E_tot (eV for the cell shown) = -13.79
- formation energy from raw total energies (meV per atom) = 1742
- total magnetic moment (μB/f.u.) = 1.738


No. 4
Density functional theory data (PBEsol) for crystalline CoCuI2N at its relaxed geometry.

Cell: 5.366 5.366 3.579 Å, 90.00 90.00 90.00°
Element x y z (fractional)
Co1 0.000 0.000 0.000
Cu1 0.500 0.500 0.500
I1 0.000 0.500 0.500
I2 0.500 0.000 0.500
N1 0.500 0.500 0.000

Calculated values
- E_tot (eV for the cell shown) = -18.45
- formation energy from raw total energies (meV per atom) = 1137
- total magnetic moment (μB/f.u.) = 4.157

=====

Entry from Alexandria via LeMat-Bulk: a relaxed structure of PrNd2Sc (GGA-PBE).

Values from the calculation:
- Size of the total moment: 0.000 μB/f.u.
- DFT formation energy: 0.143 eV per atom
- Electronic total energy: -5.02 eV per atom
- Density: 6.0 g/cm3
- Excess energy over the best structure of this formula in the dataset: 0.105 eV/atom

```
data_PrNd2Sc
_chemical_formula_sum 'Pr4 Nd8 Sc4'
_space_group_name_H-M_alt 'F m -3 m'
_space_group_IT_number 225
_space_group_name_Hall '-F 4 2 3'
_cell_length_a 8.059
_cell_length_b 8.059
_cell_length_c 8.059
_cell_angle_alpha 90.00
_cell_angle_beta 90.00
_cell_angle_gamma 90.00
loop_
_atom_site_label
_atom_site_type_symbol
_atom_site_fract_x
_atom_site_fract_y
_atom_site_fract_z
Pr1 Pr 0.000 0.000 0.000
Nd1 Nd 0.250 0.250 0.250
Sc1 Sc 0.000 0.000 0.500
```

=====

1.
HgHO2 | GGA-PBE | optimized geometry

Properties
The energy above the most stable polymorph in this dataset is 0.000 eV/atom. For the density of states at the Fermi level, the calculation gives 0.78 states/eV per atom.
+++

City Partnering Platform

The EDP in collaboration with National Treasury’s City Support Program hosts the City Partnering Platform which provides learning resources and engagement opportunities to promote partnering and collaboration for improved urban city management. The open source platform include partnering tools and methodologies along with an online course on transversal management, and encourages active participation and engagement, particularly among public sector officials.